Assignment.
What is needed: print the part of the block further down that starts with the line with "relaxed structure" and stops after the one with "90.00°,".

Input.
This record from Alexandria describes crystalline GaBI3 at its relaxed geometry. The functional is PBE.

## Properties
**Energy above the lowest structure with this stoichiometry**: 385 meV per atom
**Raw formation energy**: 85 kJ/mol of atoms
**SG**: Pm-3m (221)
**E_tot**: -1.99 eV/atom

Unit cell a=5.686 b=5.686 c=5.686 alpha=90.00 beta=90.00 gamma=90.00
Positions (direct):
Ga  0.000  0.000  0.000
B  0.500  0.500  0.500
I  0.000  0.000  0.500
I  0.000  0.500  0.000
I  0.500  0.000  0.000

----------

## LuPuInGe (PBE)

Data for a relaxed structure of LuPuInGe.

Summary:
total energy: -6.87 eV per atom
E_form: -30.31 kJ/mol of atoms

a = 7.288 Å, b = 7.288 Å, c = 7.288 Å
α = 90.00°, β = 90.00°, γ = 90.00°
Space group F-43m (No. 216)
Symmetry-distinct sites (fractional):
Lu (0.000, 0.000, 0.000) (multiplicity 4)
Pu (0.000, 0.000, 0.500) (multiplicity 4)

Written answer.
Data for a relaxed structure of LuPuInGe.

Summary:
total energy: -6.87 eV per atom
E_form: -30.31 kJ/mol of atoms

a = 7.288 Å, b = 7.288 Å, c = 7.288 Å
α = 90.00°, β = 90.00°, γ = 90.00°